Wanted:
Next, copy the listing below word for word.

File:
<<<
Density functional theory data (GGA+U) for a relaxed structure of KPrNiF6.

DFT total energy in eV/atom: -5.2962
Magnetization in μB per cell: 3.80

abc: 5.9153 5.9153 10.6081
angles: 90.00 90.00 120.00
Space group P-31c (No. 163)
Unique sites:
K1 0.0000 0.0000 0.0000 [2 per cell]
Pr1 0.3333 0.6667 0.2500 [2 per cell]
Ni1 0.3333 0.6667 0.7500 [2 per cell]
F1 0.0347 0.3886 0.6440 [12 per cell]

~~~~~

# 1
Entry from Alexandria: a relaxed CoRuAu2Br crystal (GGA-PBE).

Cell: 4.9717 4.9717 4.5651 Å, 90.00 90.00 90.00°
Space group P4/mmm (No. 123)
Asymmetric unit:
Co (0.0000, 0.0000, 0.0000) [1 per cell]
Ru (0.5000, 0.5000, 0.0000) [1 per cell]
Au (0.0000, 0.5000, 0.5000) [2 per cell]
Br (0.5000, 0.5000, 0.5000) [1 per cell]

**Raw formation energy**: 39.53 kcal/mol of atoms
**DFT total energy**: -3.208 eV/atom



# 2
Entry from Alexandria: a relaxed CoAuSBr2 crystal (GGA-PBE).

Cell: 5.1263 5.1263 5.1581 Å, 90.00 90.00 90.00°
Space group P4/mmm (No. 123)
Asymmetric unit:
Co (0.0000, 0.0000, 0.0000) [1 per cell]
Au (0.0000, 0.0000, 0.5000) [1 per cell]
S (0.5000, 0.5000, 0.0000) [1 per cell]
Br (0.0000, 0.5000, 0.5000) [2 per cell]

**Raw formation energy**: 25.34 kcal/mol of atoms
**DFT total energy**: -2.472 eV/atom

~~~~~

[1]
## AlTePdN2 (GGA-PBE)

Data for an optimized crystal structure of AlTePdN2.

total magnetization: 2.46 μB/f.u.
raw total energy: -0.1827 hartree per atom
excess energy over the best structure of this formula in the dataset: 0.00 eV per formula unit

Unit cell a=3.7819 b=3.7819 c=6.1079 alpha=90.00 beta=90.00 gamma=90.00
Positions (direct):
Al  0.0000  0.0000  0.0000
Te  0.0000  0.0000  0.5000
Pd  0.5000  0.5000  0.5000
N  0.0000  0.5000  0.0000
N  0.5000  0.0000  0.0000

=====

[2]
## SmFeCoSi2 (GGA-PBE)

Data for an optimized crystal structure of SmFeCoSi2.

total magnetization: 0.00 μB/f.u.
raw total energy: -0.2558 hartree per atom

Unit cell a=5.6121 b=5.6121 c=5.6121 alpha=138.66 beta=138.66 gamma=59.90
Positions (direct):
Sm  0.0000  0.0000  0.0000
Fe  0.7500  0.2500  0.5000
Co  0.2500  0.7500  0.5000
Si  0.3658  0.3658  0.0000
Si  0.6342  0.6342  0.0000

~~~~~

# Li2MnCr3O8

An optimized crystal structure of Li2MnCr3O8 (GGA-PBEsol, Alexandria).

The structure in POSCAR format:
```
Li2MnCr3O8
1.0
8.1605 0.0000 0.0000
0.0000 8.1605 0.0000
0.0000 0.0000 8.1605
Li Mn Cr O
8 4 12 32
direct
0.0000 0.0000 0.0000
0.0000 0.5000 0.5000
0.2500 0.2500 0.2500
0.2500 0.7500 0.7500
0.5000 0.0000 0.5000
0.5000 0.5000 0.0000
0.7500 0.2500 0.7500
0.7500 0.7500 0.2500
0.1250 0.8750 0.3750
0.3750 0.1250 0.8750
0.6250 0.6250 0.6250
0.8750 0.3750 0.1250
0.1252 0.1248 0.6250
0.1250 0.3748 0.8752
0.1248 0.6250 0.1252
0.3752 0.3750 0.6252
0.3750 0.6252 0.3752
0.3748 0.8752 0.1250
0.6250 0.1252 0.1248
0.6252 0.3752 0.3750
0.6248 0.8750 0.8748
0.8752 0.1250 0.3748
0.8748 0.6248 0.8750
0.8750 0.8748 0.6248
0.1086 0.3867 0.1143
0.1124 0.6124 0.8876
0.1133 0.8857 0.6086
0.1143 0.1086 0.3867
0.1357 0.8633 0.1414
0.1367 0.6414 0.3643
0.1376 0.3624 0.6376
0.1414 0.1357 0.8633
0.3586 0.8643 0.3633
0.3624 0.6376 0.1376
0.3633 0.3586 0.8643
0.3643 0.1367 0.6414
0.3857 0.8914 0.8867
0.3867 0.1143 0.1086
0.3876 0.3876 0.3876
0.3914 0.6133 0.6143
0.6086 0.1133 0.8857
0.6124 0.8876 0.1124
0.6133 0.6143 0.3914
0.6143 0.3914 0.6133
0.6357 0.6367 0.8586
0.6367 0.8586 0.6357
0.6376 0.1376 0.3624
0.6414 0.3643 0.1367
0.8586 0.6357 0.6367
0.8624 0.8624 0.8624
0.8633 0.1414 0.1357
0.8643 0.3633 0.3586
0.8857 0.6086 0.1133
0.8867 0.3857 0.8914
0.8876 0.1124 0.6124
0.8914 0.8867 0.3857
```

## Properties
Uncorrected formation energy in eV/atom: -1.978
Crystal system: cubic
Distance to the lowest polymorph of the same formula in meV/atom: 0.0
>>>

Solution:
Density functional theory data (GGA+U) for a relaxed structure of KPrNiF6.

DFT total energy in eV/atom: -5.2962
Magnetization in μB per cell: 3.80

abc: 5.9153 5.9153 10.6081
angles: 90.00 90.00 120.00
Space group P-31c (No. 163)
Unique sites:
K1 0.0000 0.0000 0.0000 [2 per cell]
Pr1 0.3333 0.6667 0.2500 [2 per cell]
Ni1 0.3333 0.6667 0.7500 [2 per cell]
F1 0.0347 0.3886 0.6440 [12 per cell]

~~~~~

# 1
Entry from Alexandria: a relaxed CoRuAu2Br crystal (GGA-PBE).

Cell: 4.9717 4.9717 4.5651 Å, 90.00 90.00 90.00°
Space group P4/mmm (No. 123)
Asymmetric unit:
Co (0.0000, 0.0000, 0.0000) [1 per cell]
Ru (0.5000, 0.5000, 0.0000) [1 per cell]
Au (0.0000, 0.5000, 0.5000) [2 per cell]
Br (0.5000, 0.5000, 0.5000) [1 per cell]

**Raw formation energy**: 39.53 kcal/mol of atoms
**DFT total energy**: -3.208 eV/atom



# 2
Entry from Alexandria: a relaxed CoAuSBr2 crystal (GGA-PBE).

Cell: 5.1263 5.1263 5.1581 Å, 90.00 90.00 90.00°
Space group P4/mmm (No. 123)
Asymmetric unit:
Co (0.0000, 0.0000, 0.0000) [1 per cell]
Au (0.0000, 0.0000, 0.5000) [1 per cell]
S (0.5000, 0.5000, 0.0000) [1 per cell]
Br (0.0000, 0.5000, 0.5000) [2 per cell]

**Raw formation energy**: 25.34 kcal/mol of atoms
**DFT total energy**: -2.472 eV/atom

~~~~~

[1]
## AlTePdN2 (GGA-PBE)

Data for an optimized crystal structure of AlTePdN2.

total magnetization: 2.46 μB/f.u.
raw total energy: -0.1827 hartree per atom
excess energy over the best structure of this formula in the dataset: 0.00 eV per formula unit

Unit cell a=3.7819 b=3.7819 c=6.1079 alpha=90.00 beta=90.00 gamma=90.00
Positions (direct):
Al  0.0000  0.0000  0.0000
Te  0.0000  0.0000  0.5000
Pd  0.5000  0.5000  0.5000
N  0.0000  0.5000  0.0000
N  0.5000  0.0000  0.0000

=====

[2]
## SmFeCoSi2 (GGA-PBE)

Data for an optimized crystal structure of SmFeCoSi2.

total magnetization: 0.00 μB/f.u.
raw total energy: -0.2558 hartree per atom

Unit cell a=5.6121 b=5.6121 c=5.6121 alpha=138.66 beta=138.66 gamma=59.90
Positions (direct):
Sm  0.0000  0.0000  0.0000
Fe  0.7500  0.2500  0.5000
Co  0.2500  0.7500  0.5000
Si  0.3658  0.3658  0.0000
Si  0.6342  0.6342  0.0000

~~~~~

# Li2MnCr3O8

An optimized crystal structure of Li2MnCr3O8 (GGA-PBEsol, Alexandria).

The structure in POSCAR format:
```
Li2MnCr3O8
1.0
8.1605 0.0000 0.0000
0.0000 8.1605 0.0000
0.0000 0.0000 8.1605
Li Mn Cr O
8 4 12 32
direct
0.0000 0.0000 0.0000
0.0000 0.5000 0.5000
0.2500 0.2500 0.2500
0.2500 0.7500 0.7500
0.5000 0.0000 0.5000
0.5000 0.5000 0.0000
0.7500 0.2500 0.7500
0.7500 0.7500 0.2500
0.1250 0.8750 0.3750
0.3750 0.1250 0.8750
0.6250 0.6250 0.6250
0.8750 0.3750 0.1250
0.1252 0.1248 0.6250
0.1250 0.3748 0.8752
0.1248 0.6250 0.1252
0.3752 0.3750 0.6252
0.3750 0.6252 0.3752
0.3748 0.8752 0.1250
0.6250 0.1252 0.1248
0.6252 0.3752 0.3750
0.6248 0.8750 0.8748
0.8752 0.1250 0.3748
0.8748 0.6248 0.8750
0.8750 0.8748 0.6248
0.1086 0.3867 0.1143
0.1124 0.6124 0.8876
0.1133 0.8857 0.6086
0.1143 0.1086 0.3867
0.1357 0.8633 0.1414
0.1367 0.6414 0.3643
0.1376 0.3624 0.6376
0.1414 0.1357 0.8633
0.3586 0.8643 0.3633
0.3624 0.6376 0.1376
0.3633 0.3586 0.8643
0.3643 0.1367 0.6414
0.3857 0.8914 0.8867
0.3867 0.1143 0.1086
0.3876 0.3876 0.3876
0.3914 0.6133 0.6143
0.6086 0.1133 0.8857
0.6124 0.8876 0.1124
0.6133 0.6143 0.3914
0.6143 0.3914 0.6133
0.6357 0.6367 0.8586
0.6367 0.8586 0.6357
0.6376 0.1376 0.3624
0.6414 0.3643 0.1367
0.8586 0.6357 0.6367
0.8624 0.8624 0.8624
0.8633 0.1414 0.1357
0.8643 0.3633 0.3586
0.8857 0.6086 0.1133
0.8867 0.3857 0.8914
0.8876 0.1124 0.6124
0.8914 0.8867 0.3857
```

## Properties
Uncorrected formation energy in eV/atom: -1.978
Crystal system: cubic
Distance to the lowest polymorph of the same formula in meV/atom: 0.0